
perfect. this is where i get to go all fox news and say,

What strikes me, resident outside the US, as bizarre, is the thought that servers in restaurants (only in New York? Only in major cities? Or all over?) seem literally to depend upon tips to survive. Which seems to mean that restaurants don't pay a living wage.

What comes next are data records, not part of the entry:
Record 1
# PBE Dy8YHo6, optimized geometry
# Excess energy over the best structure of this formula in the dataset, eV/atom: 0.000
# DFT total energy, eV per formula unit: -68.77
# Calculated volume, Å³/atom: 32.0
# D(E_F), states/eV per cell: 70.3
data_Dy8YHo6
_chemical_formula_sum 'Dy24 Y3 Ho18'
_cell_length_a 8.9941
_cell_length_b 8.9941
_cell_length_c 20.5263
_cell_angle_alpha 90.00
_cell_angle_beta 90.00
_cell_angle_gamma 120.00
_space_group_name_H-M_alt 'R -3'
_space_group_IT_number 148
_space_group_name_Hall '-R 3'
loop_
_atom_site_label
_atom_site_type_symbol
_atom_site_fract_x
_atom_site_fract_y
_atom_site_fract_z
Dy1 Dy 0.0000 0.0000 0.0768
Dy2 Dy 0.0815 0.5290 0.3084
Y1 Y 0.0000 0.0000 0.5000
Ho1 Ho 0.0611 0.8143 0.2073

=====

Record 2
# PBE CaLaTl2, optimized geometry
# DFT total energy, eV per formula unit: -12.72
# Calculated volume, Å³/atom: 32.5
# D(E_F), states/eV per cell: 13.8
data_CaLaTl2
_chemical_formula_sum 'Ca3 La3 Tl6'
_cell_length_a 3.8141
_cell_length_b 3.8141
_cell_length_c 30.9856
_cell_angle_alpha 90.00
_cell_angle_beta 90.00
_cell_angle_gamma 120.00
_space_group_name_H-M_alt 'R -3 m'
_space_group_IT_number 166
_space_group_name_Hall '-R 3 2"'
loop_
_atom_site_label
_atom_site_type_symbol
_atom_site_fract_x
_atom_site_fract_y
_atom_site_fract_z
Ca1 Ca 0.0000 0.0000 0.0000
La1 La 0.0000 0.0000 0.5000
Tl1 Tl 0.0000 0.0000 0.2528

=====

Record 3
# PBE Pm8Ru3Au2, optimized geometry
# DFT total energy, eV per formula unit: -76.86
# Calculated volume, Å³/atom: 27.6
# D(E_F), states/eV per cell: 9.5
data_Pm8Ru3Au2
_chemical_formula_sum 'Pm8 Ru3 Au2'
_cell_length_a 8.783
_cell_length_b 4.967
_cell_length_c 8.790
_cell_angle_alpha 90.00
_cell_angle_beta 110.54
_cell_angle_gamma 90.00
_space_group_name_H-M_alt 'P 1 2/m 1'
_space_group_IT_number 10
loop_
_space_group_symop_operation_xyz
'x,y,z'
'-x,-y,-z'
'-x,y,-z'
'x,-y,z'
loop_
_atom_site_label
_atom_site_type_symbol
_atom_site_fract_x
_atom_site_fract_y
_atom_site_fract_z
Pm1 Pm 0.115 0.000 0.386
Pm2 Pm 0.138 0.500 0.869
Pm3 Pm 0.370 0.500 0.638
Pm4 Pm 0.382 0.000 0.118
Ru1 Ru 0.251 0.000 0.751
Ru2 Ru 0.500 0.500 0.000
Au1 Au 0.245 0.500 0.255

=====

Record 4
# PBE CuNiSe2, optimized geometry
# DFT total energy, eV per formula unit: -17.20
# Raw formation energy, eV/atom: -0.089
# Calculated volume, Å³/atom: 20.0
# D(E_F), states/eV per cell: 18.8
data_CuNiSe2
_chemical_formula_sum 'Cu4 Ni4 Se8'
_cell_length_a 7.579
_cell_length_b 10.857
_cell_length_c 5.417
_cell_angle_alpha 90.00
_cell_angle_beta 134.09
_cell_angle_gamma 90.00
_space_group_name_H-M_alt 'C 1 2/c 1'
_space_group_IT_number 15
loop_
_space_group_symop_operation_xyz
'x,y,z'
'-x,-y,-z'
'-x,y,-z+1/2'
'x,-y,z+1/2'
'x+1/2,y+1/2,z'
'-x+1/2,-y+1/2,-z'
'-x+1/2,y+1/2,-z+1/2'
'x+1/2,-y+1/2,z+1/2'
loop_
_atom_site_label
_atom_site_type_symbol
_atom_site_fract_x
_atom_site_fract_y
_atom_site_fract_z
Cu1 Cu 0.000 0.243 0.250
Ni1 Ni 0.000 0.004 0.750
Se1 Se 0.235 0.387 0.737

=====

Record 5

So, you may already know this, but there's probably a corporate policy in place that told that kid he had to ask about the Kroger card for every single customer. There are a lot of stupid policies like this - for instance, I was just at the grocery store with my 87 year old grandmother, and she got carded buying wine.

I feel like I would have gone over my degrees, pointed out where that landed me, and then talk about how successful Gates and Zuckerberg were as dropouts.

Make them pay, and if they're douche-bags, call the cops, but then again if I'm not the owner of said restaurant maybe it's just not worth the hassle.

<<<
(1)
Here is a geometry-optimized LuMgAgTeSe2 structure from OQMD. Energies are from PBE-GGA.

Cell: 7.0523 7.0523 11.0122 Å, 90.00 90.00 147.66°
Positions (direct):
1 Se 0.6406 0.3594 0.0659
2 Se 0.3594 0.6406 0.5659
3 Se 0.3594 0.6406 0.9341
4 Se 0.6406 0.3594 0.4341
5 Ag 0.4807 0.5193 0.7500
6 Ag 0.5193 0.4807 0.2500
7 Lu 0.0000 0.0000 0.0000
8 Lu 0.0000 0.0000 0.5000
9 Te 0.8738 0.1262 0.2500
10 Te 0.1262 0.8738 0.7500
11 Mg 0.2037 0.7963 0.2500
12 Mg 0.7963 0.2037 0.7500

Summary:
Total moment = 0.00 μB/f.u.
Calculated density = 6.72 g cm⁻³
DFT total energy = -4.12 eV/atom

---

(2)
Here is a geometry-optimized LuMgAgTe2Se structure from OQMD. Energies are from PBE-GGA.

Cell: 7.2514 7.2514 10.8309 Å, 90.00 90.00 147.13°
Positions (direct):
1 Mg 0.2549 0.7451 0.2500
2 Mg 0.7451 0.2549 0.7500
3 Lu 0.0000 0.0000 0.5000
4 Lu 0.0000 0.0000 0.0000
5 Ag 0.4829 0.5171 0.7500
6 Ag 0.5171 0.4829 0.2500
7 Te 0.6517 0.3483 0.4357
8 Te 0.3483 0.6517 0.9357
9 Te 0.6517 0.3483 0.0643
10 Te 0.3483 0.6517 0.5643
11 Se 0.1071 0.8929 0.7500
12 Se 0.8929 0.1071 0.2500

Summary:
Total moment = 0.01 μB/f.u.
Calculated density = 6.89 g cm⁻³
DFT total energy = -3.92 eV/atom

---

(3)
Here is a geometry-optimized Lu2AgMo structure from OQMD. Energies are from PBE-GGA.

Cell: 4.9034 4.9034 4.9034 Å, 60.00 60.00 60.00°
Positions (direct):
1 Mo 0.7500 0.7500 0.7500
2 Lu 0.2500 0.2500 0.2500
3 Lu 0.0000 0.0000 0.0000
4 Ag 0.5000 0.5000 0.5000

Summary:
Calculated formation energy = 1.58 eV per formula unit
Total moment = 0.90 μB/f.u.
Calculated density = 11.03 g cm⁻³
DFT total energy = -5.28 eV/atom

---

(4)
Here is a geometry-optimized NaLuAgSe3 structure from OQMD. Energies are from PBE-GGA.

Cell: 7.3268 7.3268 10.5355 Å, 90.00 90.00 148.76°
Positions (direct):
1 Se 0.1386 0.8614 0.4512
2 Se 0.5881 0.4119 0.7500
3 Se 0.8614 0.1386 0.9512
4 Se 0.4119 0.5881 0.2500
5 Se 0.8614 0.1386 0.5488
6 Se 0.1386 0.8614 0.0488
7 Na 0.2584 0.7416 0.7500
8 Na 0.7416 0.2584 0.2500
9 Lu 0.5000 0.5000 0.0000
10 Lu 0.5000 0.5000 0.5000
11 Ag 0.0352 0.9648 0.2500
12 Ag 0.9648 0.0352 0.7500

Summary:
Total moment = 0.04 μB/f.u.
Calculated density = 6.15 g cm⁻³
DFT total energy = -4.20 eV/atom

---

(5)
Here is a geometry-optimized NaLuAgTe3 structure from OQMD. Energies are from PBE-GGA.

Cell: 7.8755 7.8755 11.1215 Å, 90.00 90.00 149.58°
Positions (direct):
1 Te 0.9083 0.0917 0.2500
2 Te 0.6410 0.3590 0.4496
3 Te 0.6410 0.3590 0.0504
4 Te 0.3590 0.6410 0.5504
5 Te 0.3590 0.6410 0.9496
6 Te 0.0917 0.9083 0.7500
7 Ag 0.5333 0.4667 0.2500
8 Ag 0.4667 0.5333 0.7500
9 Lu 0.0000 0.0000 0.0000
10 Lu 0.0000 0.0000 0.5000
11 Na 0.7671 0.2329 0.7500
12 Na 0.2329 0.7671 0.2500

Summary:
Total moment = 0.01 μB/f.u.
Calculated density = 6.55 g cm⁻³
DFT total energy = -3.81 eV/atom

---

(6)
Here is a geometry-optimized LuNb2Ag structure from OQMD. Energies are from PBE-GGA.

Cell: 4.7953 4.7953 4.7953 Å, 60.00 60.00 60.00°
Positions (direct):
1 Ag 0.7500 0.7500 0.7500
2 Lu 0.0000 0.0000 0.0000
>>>

Hmm, I just got an insight on how a dyslexic person must feel when reading stuff. The words are all in English, but I simply have no understanding what you wrote.

Off topic, kinda. I used to work in a lab drawing blood. It was summer and the AC wasn't working properly. We were all slightly crabby and drenched in sweat. One day this fellow comes in and as I'm wrapping the elastic band around his are, I comment on his name—Robert E. Lee. He must have assumed my accent made me a

You know what? As a now-white person AND a Law Enforcement person, I actually can see a good thing about this guy: he's the kind of person I love in my job, who spares me of several minutes of "He did", "I didn't", and go straight into doing the very thing he's being accused of, right in front of me and several other

I recommend a PUA cruise line. Take them out on the water with promises of good food and camaraderie.

I've always said I want to be Sophia. I eagerly await getting old enough to say whatever the fuck I want with no filter and getting away with it because I'm so old.

"Even though some people argue that binge-watching is a harmless addiction, findings from our study suggest that binge-watching should no longer be viewed this way. Physical fatigue and problems such as obesity and other health problems are related to binge-watching and they are a cause for concern. When

When binge-watching becomes rampant, viewers may start to neglect their work and their relationships with others.

There are a lot of commenters on here are sharing their stories of being raped while sober, and I want to say I see you, and I'm listening and I feel your pain.

Long time fan, first time poster. . .

Well now I'm really disappointed that their "oven-baked sandwiches" aren't called SUBS.

You know this is in Oklahoma right? Not that I would put it past any of our batshit crazy Kansas politicians to try it, but this one isn't ours.

# Next to the text, the page also holds materials data
-- begin --
## BeCr2PbO8 (PBE+U)

Data for an optimized crystal structure of BeCr2PbO8.

Geometry as POSCAR:
```
BeCr2PbO8
1.0
5.288 0.000 0.000
-2.644 4.580 0.000
0.000 0.000 6.707
Be Cr Pb O
1 2 1 8
direct
0.000 0.000 0.000 Be
0.333 0.667 0.242 Cr
0.667 0.333 0.758 Cr
0.000 0.000 0.500 Pb
0.153 0.319 0.166 O
0.166 0.847 0.166 O
0.319 0.166 0.834 O
0.333 0.667 0.488 O
0.667 0.333 0.512 O
0.681 0.834 0.166 O
0.834 0.153 0.834 O
0.847 0.681 0.834 O
```

Values from the calculation:
total moment	0.00	μB per atom
total energy	-6.52	eV per atom
-- stop --

So that 2008 quote where she mouth-farted this gem: "The homosexual agenda is destroying this nation, OK, it's just a fact. Studies show no society that has totally embraced homosexuality has lasted, you know, more than a few decades. So it's the death knell in this country." I've heard similar sentiments from

I had the privilege of going to both public and private schools in Oklahoma. My private Catholic school taught me that non-conformity and any and all questioning of authority was from the devil and was what was intrinsically wrong with me. My public school taught me critical thinking and acceptance. One was chock

I know someone who found out his girlfriend was pregnant and immediately married her (as in, within 72 hours of finding out she was pregnant), to "do the right thing". Like a few weeks later it came out that the baby wasn't his, and one of his best friends was the father, so he got it annulled as fast as possible.